# Activity
Next, set down everything below unchanged.
# Data
____________
(1)
Here is the molecule C5H10N2O2 at a distorted geometry from the OMol25 dataset. Energies are from ωB97M-V/def2-TZVPD.

The geometry in XYZ format:
```
19
Properties=species:S:1:pos:R:3:nbo_charge:R:1
C 0.971 -1.191 -0.372 0.884
C -0.596 1.481 0.604 -0.258
C -0.320 0.116 1.239 -0.212
C 0.760 1.975 -1.196 -0.034
C -1.391 -1.796 -0.037 -0.397
N 0.586 1.820 -0.001 -0.399
N -0.171 -1.020 0.354 -0.461
O 1.057 -1.682 -1.459 -0.661
O 2.069 -0.653 0.203 -0.689
H -1.542 1.517 0.024 0.169
H -0.731 2.225 1.419 0.212
H 0.536 0.093 1.815 0.228
H -1.064 -0.113 1.970 0.197
H 0.118 1.832 -2.112 0.145
H 1.822 2.121 -1.562 0.153
H -2.076 -1.193 -0.578 0.192
H -0.954 -2.676 -0.639 0.237
H -1.787 -2.113 0.863 0.192
H 2.712 -0.742 -0.534 0.500
```

Computed properties:
Total charge   0
LUMO   0.91 eV
Frontier orbital gap   0.3778 Ha
Structure (SMILES)   C=NCCN(C)C(=O)O
Highest occupied orbital energy   -9.374 eV
Energy above the lowest of the compared OMol25 structures with the same formula, charge and spin   51.2 kcal/mol

---

(2)
Here is a cluster of 3 separate species, C12H15N3 in total at a distorted geometry from the OMol25 dataset. Energies are from ωB97M-V/def2-TZVPD.

The geometry in XYZ format:
```
30
Properties=species:S:1:pos:R:3:nbo_charge:R:1
N -2.725 -2.550 -5.943 -0.505
C -3.062 -1.237 -6.097 -0.073
C -4.430 -1.050 -6.283 -0.311
C -4.912 -2.335 -6.418 -0.302
C -3.883 -3.225 -6.165 -0.082
H -1.790 -2.895 -5.779 0.422
H -2.312 -0.467 -5.992 0.199
H -4.989 -0.145 -6.467 0.228
H -5.925 -2.599 -6.681 0.221
H -3.834 -4.300 -6.081 0.205
N 6.374 0.655 6.420 -0.489
C 7.372 -0.088 5.836 -0.106
C 6.637 -1.004 5.035 -0.290
C 5.313 -0.898 5.297 -0.314
C 5.143 0.154 6.145 -0.077
H 6.479 1.459 7.023 0.410
H 8.444 0.045 5.852 0.221
H 6.992 -1.788 4.383 0.214
H 4.598 -1.603 4.897 0.222
H 4.262 0.631 6.548 0.209
N -2.706 1.675 -0.407 -0.508
C -1.871 1.295 0.624 -0.068
C -1.701 2.345 1.544 -0.314
C -2.471 3.401 0.905 -0.300
C -2.980 3.002 -0.305 -0.086
H -2.996 1.093 -1.180 0.411
H -1.571 0.257 0.593 0.203
H -1.190 2.372 2.495 0.233
H -2.701 4.375 1.312 0.215
H -3.563 3.424 -1.110 0.212
```

Computed properties:
Total charge   0
LUMO   0.68 eV
Frontier orbital gap   0.3231 Ha
Structure (SMILES)   c1cc[nH]c1.c1cc[nH]c1.c1cc[nH]c1
Highest occupied orbital energy   -8.111 eV
Energy above the lowest of the compared OMol25 structures with the same formula, charge and spin   28.6 kcal/mol

---

(3)
Here is a structure of composition BCd2H28O16P at a distorted geometry from the OMol25 dataset. Energies are from ωB97M-V/def2-TZVPD.

The geometry in XYZ format:
```
48
Properties=species:S:1:pos:R:3:nbo_charge:R:1
Cd 14.935 -13.683 -4.403 0.456
Cd 21.525 -11.356 -8.817 1.498
P 18.123 -12.229 -6.658 2.432
O 17.858 -12.258 -5.167 -0.843
O 16.773 -12.793 -7.064 -0.774
O 19.250 -13.096 -7.194 -1.013
O 18.562 -10.909 -7.276 -1.055
B 24.029 -13.454 -10.379 -0.811
H 24.111 -12.460 -10.790 -0.006
H 23.871 -13.372 -9.315 0.006
H 23.159 -13.939 -10.795 -0.020
H 24.899 -14.041 -10.629 0.108
O 22.478 -8.038 -9.980 -0.959
H 21.930 -7.527 -10.575 0.481
H 23.191 -7.446 -9.742 0.484
O 13.831 -11.748 -10.616 -0.941
H 14.374 -12.149 -9.937 0.472
H 12.940 -12.029 -10.408 0.469
O 20.913 -17.330 -6.637 -0.944
H 20.580 -16.467 -6.883 0.472
H 21.762 -17.394 -7.075 0.471
O 15.999 -16.990 -4.306 -0.949
H 16.340 -17.579 -3.633 0.475
H 15.937 -17.534 -5.092 0.475
O 20.735 -14.981 -2.926 -0.944
H 20.021 -14.348 -2.999 0.469
H 20.610 -15.571 -3.669 0.474
O 15.876 -8.185 -9.704 -0.944
H 15.373 -8.963 -9.944 0.475
H 16.599 -8.522 -9.174 0.469
O 18.219 -6.775 -5.901 -0.934
H 18.561 -6.218 -6.599 0.461
H 18.354 -7.668 -6.218 0.473
O 12.075 -15.078 -5.728 -0.945
H 11.720 -15.883 -5.350 0.474
H 11.764 -15.081 -6.634 0.473
O 18.988 -9.513 -1.874 -0.935
H 18.831 -10.251 -2.463 0.472
H 19.350 -9.910 -1.082 0.463
O 19.625 -11.490 -11.974 -0.958
H 19.397 -12.282 -12.460 0.485
H 19.011 -10.828 -12.292 0.478
O 17.206 -15.568 -9.954 -0.944
H 18.143 -15.528 -9.764 0.471
H 16.801 -15.017 -9.284 0.474
____________
# Completed
(1)
Here is the molecule C5H10N2O2 at a distorted geometry from the OMol25 dataset. Energies are from ωB97M-V/def2-TZVPD.

The geometry in XYZ format:
```
19
Properties=species:S:1:pos:R:3:nbo_charge:R:1
C 0.971 -1.191 -0.372 0.884
C -0.596 1.481 0.604 -0.258
C -0.320 0.116 1.239 -0.212
C 0.760 1.975 -1.196 -0.034
C -1.391 -1.796 -0.037 -0.397
N 0.586 1.820 -0.001 -0.399
N -0.171 -1.020 0.354 -0.461
O 1.057 -1.682 -1.459 -0.661
O 2.069 -0.653 0.203 -0.689
H -1.542 1.517 0.024 0.169
H -0.731 2.225 1.419 0.212
H 0.536 0.093 1.815 0.228
H -1.064 -0.113 1.970 0.197
H 0.118 1.832 -2.112 0.145
H 1.822 2.121 -1.562 0.153
H -2.076 -1.193 -0.578 0.192
H -0.954 -2.676 -0.639 0.237
H -1.787 -2.113 0.863 0.192
H 2.712 -0.742 -0.534 0.500
```

Computed properties:
Total charge   0
LUMO   0.91 eV
Frontier orbital gap   0.3778 Ha
Structure (SMILES)   C=NCCN(C)C(=O)O
Highest occupied orbital energy   -9.374 eV
Energy above the lowest of the compared OMol25 structures with the same formula, charge and spin   51.2 kcal/mol

---

(2)
Here is a cluster of 3 separate species, C12H15N3 in total at a distorted geometry from the OMol25 dataset. Energies are from ωB97M-V/def2-TZVPD.

The geometry in XYZ format:
```
30
Properties=species:S:1:pos:R:3:nbo_charge:R:1
N -2.725 -2.550 -5.943 -0.505
C -3.062 -1.237 -6.097 -0.073
C -4.430 -1.050 -6.283 -0.311
C -4.912 -2.335 -6.418 -0.302
C -3.883 -3.225 -6.165 -0.082
H -1.790 -2.895 -5.779 0.422
H -2.312 -0.467 -5.992 0.199
H -4.989 -0.145 -6.467 0.228
H -5.925 -2.599 -6.681 0.221
H -3.834 -4.300 -6.081 0.205
N 6.374 0.655 6.420 -0.489
C 7.372 -0.088 5.836 -0.106
C 6.637 -1.004 5.035 -0.290
C 5.313 -0.898 5.297 -0.314
C 5.143 0.154 6.145 -0.077
H 6.479 1.459 7.023 0.410
H 8.444 0.045 5.852 0.221
H 6.992 -1.788 4.383 0.214
H 4.598 -1.603 4.897 0.222
H 4.262 0.631 6.548 0.209
N -2.706 1.675 -0.407 -0.508
C -1.871 1.295 0.624 -0.068
C -1.701 2.345 1.544 -0.314
C -2.471 3.401 0.905 -0.300
C -2.980 3.002 -0.305 -0.086
H -2.996 1.093 -1.180 0.411
H -1.571 0.257 0.593 0.203
H -1.190 2.372 2.495 0.233
H -2.701 4.375 1.312 0.215
H -3.563 3.424 -1.110 0.212
```

Computed properties:
Total charge   0
LUMO   0.68 eV
Frontier orbital gap   0.3231 Ha
Structure (SMILES)   c1cc[nH]c1.c1cc[nH]c1.c1cc[nH]c1
Highest occupied orbital energy   -8.111 eV
Energy above the lowest of the compared OMol25 structures with the same formula, charge and spin   28.6 kcal/mol

---

(3)
Here is a structure of composition BCd2H28O16P at a distorted geometry from the OMol25 dataset. Energies are from ωB97M-V/def2-TZVPD.

The geometry in XYZ format:
```
48
Properties=species:S:1:pos:R:3:nbo_charge:R:1
Cd 14.935 -13.683 -4.403 0.456
Cd 21.525 -11.356 -8.817 1.498
P 18.123 -12.229 -6.658 2.432
O 17.858 -12.258 -5.167 -0.843
O 16.773 -12.793 -7.064 -0.774
O 19.250 -13.096 -7.194 -1.013
O 18.562 -10.909 -7.276 -1.055
B 24.029 -13.454 -10.379 -0.811
H 24.111 -12.460 -10.790 -0.006
H 23.871 -13.372 -9.315 0.006
H 23.159 -13.939 -10.795 -0.020
H 24.899 -14.041 -10.629 0.108
O 22.478 -8.038 -9.980 -0.959
H 21.930 -7.527 -10.575 0.481
H 23.191 -7.446 -9.742 0.484
O 13.831 -11.748 -10.616 -0.941
H 14.374 -12.149 -9.937 0.472
H 12.940 -12.029 -10.408 0.469
O 20.913 -17.330 -6.637 -0.944
H 20.580 -16.467 -6.883 0.472
H 21.762 -17.394 -7.075 0.471
O 15.999 -16.990 -4.306 -0.949
H 16.340 -17.579 -3.633 0.475
H 15.937 -17.534 -5.092 0.475
O 20.735 -14.981 -2.926 -0.944
H 20.021 -14.348 -2.999 0.469
H 20.610 -15.571 -3.669 0.474
O 15.876 -8.185 -9.704 -0.944
H 15.373 -8.963 -9.944 0.475
H 16.599 -8.522 -9.174 0.469
O 18.219 -6.775 -5.901 -0.934
H 18.561 -6.218 -6.599 0.461
H 18.354 -7.668 -6.218 0.473
O 12.075 -15.078 -5.728 -0.945
H 11.720 -15.883 -5.350 0.474
H 11.764 -15.081 -6.634 0.473
O 18.988 -9.513 -1.874 -0.935
H 18.831 -10.251 -2.463 0.472
H 19.350 -9.910 -1.082 0.463
O 19.625 -11.490 -11.974 -0.958
H 19.397 -12.282 -12.460 0.485
H 19.011 -10.828 -12.292 0.478
O 17.206 -15.568 -9.954 -0.944
H 18.143 -15.528 -9.764 0.471
H 16.801 -15.017 -9.284 0.474